Material:
********
# C16H26N5O8

A gas-phase ion, C16H26N5O8 (charge -3) (wB97M-V/def2-TZVPD, the Open Molecules 2025 dataset).

Structure (XYZ):
```
55
Properties=species:S:1:pos:R:3:forces:R:3:nbo_charge:R:1
C -4.601 -2.526 1.287 -0.0801 -0.2565 0.0133 -0.446
N -4.438 -1.233 0.674 0.3136 -0.0317 0.2811 -0.612
C -4.912 -0.912 -0.538 0.0126 0.1862 0.1227 0.679
O -5.728 -1.593 -1.154 -0.1194 -0.0844 -0.2579 -0.703
C -4.408 0.420 -1.055 -0.1717 0.0487 -0.1419 -0.352
N -3.277 0.944 -0.307 -0.1198 0.0522 -0.2625 -0.452
C -2.027 0.300 -0.715 0.1563 -0.0685 0.1682 -0.272
C -0.879 0.585 0.280 0.0112 0.1576 -0.1014 -0.206
N 0.160 -0.412 0.427 -0.0783 -0.4002 0.0582 -0.476
C 0.939 -0.672 -0.772 0.2962 0.3679 -0.2059 -0.240
C 2.061 0.377 -0.980 -0.2017 -0.0895 -0.0590 -0.199
N 3.342 0.101 -0.360 -0.0983 -0.4210 0.2764 -0.465
C 4.173 -0.844 -1.087 0.2215 0.3961 -0.2991 -0.348
C 5.215 -0.120 -2.016 -0.3168 -0.3865 0.1954 0.767
O 5.569 -0.720 -3.037 0.0934 -0.4597 -0.4767 -0.770
O 5.634 0.991 -1.614 0.1990 0.5151 0.0606 -0.790
C 3.296 -0.093 1.068 0.0602 -0.0257 0.0333 -0.304
C 4.541 0.435 1.776 -0.1013 0.0565 0.0158 0.662
O 4.743 0.216 2.973 -0.1160 -0.1779 0.3360 -0.722
N 5.347 1.177 1.015 0.1581 0.0881 -0.4852 -0.649
C 6.583 1.701 1.526 -0.0315 -0.0261 0.1953 -0.414
C -0.218 -1.598 1.184 -0.1299 -0.1239 -0.1237 -0.334
C -1.069 -2.760 0.530 0.3242 0.4912 0.4916 0.748
O -1.639 -3.487 1.371 -0.0586 -0.3459 0.4945 -0.813
O -1.072 -2.875 -0.701 0.0963 0.1161 -0.7062 -0.774
C -3.201 2.397 -0.416 -0.1760 0.5106 0.2799 -0.333
C -4.452 3.225 0.097 0.7103 -0.2773 -0.2172 0.764
O -5.556 3.001 -0.433 -0.6233 -0.2031 -0.3473 -0.795
O -4.194 4.092 0.945 0.2980 0.4759 0.5323 -0.783
H -5.263 -3.112 0.650 -0.0209 -0.0010 0.0740 0.208
H -5.049 -2.422 2.281 -0.0637 -0.0493 -0.0128 0.157
H -3.632 -3.031 1.374 -0.1595 0.0383 0.0051 0.269
H -3.717 -0.616 1.025 -0.1308 0.0467 -0.0782 0.418
H -4.193 0.309 -2.134 0.0104 -0.0497 0.1142 0.171
H -5.224 1.151 -0.958 0.1181 -0.2386 -0.0955 0.295
H -1.732 0.628 -1.730 -0.1137 -0.0502 0.0359 0.152
H -2.189 -0.780 -0.753 0.0455 0.0522 -0.0909 0.242
H -0.389 1.526 0.002 -0.1174 0.0164 0.1003 0.179
H -1.328 0.729 1.269 -0.0125 0.0930 -0.0452 0.196
H 1.391 -1.661 -0.674 -0.0473 -0.0246 -0.1037 0.208
H 0.307 -0.704 -1.669 0.0465 -0.1327 0.0448 0.187
H 2.256 0.493 -2.050 -0.0323 0.0802 -0.0086 0.190
H 1.716 1.343 -0.597 -0.0790 0.0196 -0.1145 0.185
H 4.762 -1.438 -0.378 -0.0637 0.0163 -0.0486 0.192
H 3.585 -1.544 -1.696 0.0847 0.0531 0.0700 0.193
H 2.435 0.452 1.466 0.0665 -0.0684 0.0612 0.241
H 3.163 -1.146 1.373 -0.0039 0.1419 0.0339 0.183
H 5.249 1.161 -0.038 -0.0656 0.1018 0.3395 0.471
H 7.431 1.291 0.970 0.0153 0.0301 -0.0137 0.185
H 6.671 1.430 2.581 0.0402 0.0597 -0.0972 0.212
H 6.603 2.791 1.429 0.0869 -0.0073 0.0288 0.171
H 0.714 -2.070 1.527 -0.1254 -0.0262 0.0380 0.189
H -0.756 -1.267 2.079 0.0676 -0.0750 -0.0411 0.192
H -3.031 2.702 -1.470 0.0206 -0.0794 0.0501 0.144
H -2.349 2.740 0.176 -0.0949 -0.0315 -0.1163 0.201
```
Forces are in eV/Å.

Calculated values
Structure (SMILES) = CNC(=O)CN(CCN(CCN(CC(=O)[O-])CC(=O)NC)CC(=O)[O-])CC(=O)[O-]
Lowest unoccupied orbital energy = 0.24014 Ha
HOMO-LUMO gap = 6.604 eV
E_HOMO = -0.1 eV
Total charge = -3



# C3H8NS

2 unconnected molecules or ions with the total composition C3H8NS (wB97M-V/def2-TZVPD, the Open Molecules 2025 dataset).

Structure (XYZ):
```
13
Properties=species:S:1:pos:R:3:forces:R:3:nbo_charge:R:1
C -2.425 0.119 0.206 -0.4785 0.5257 0.5660 -0.743
S -1.837 -1.102 -0.982 0.1220 -0.2047 -0.1749 -0.721
H -2.996 0.945 -0.236 0.0521 -0.0535 -0.2953 0.166
H -3.115 -0.294 0.957 0.1228 -0.1976 -0.0623 0.165
H -1.637 0.616 0.781 0.2317 -0.1205 -0.0430 0.161
C 1.486 0.066 0.907 0.4423 -0.3590 0.2802 -0.445
C 1.578 -0.066 -1.392 -0.0044 -0.3089 0.8927 -0.042
N 1.850 0.634 -0.374 -0.0772 0.2998 -0.4762 -0.438
H 0.967 -0.902 0.826 0.0107 0.1942 -0.0057 0.199
H 0.849 0.775 1.425 -0.2483 0.0701 0.0372 0.199
H 2.380 -0.042 1.543 -0.1141 -0.0122 -0.2288 0.174
********

Assignment:
Please work out how many lines above have the word "Lowest" in them; a number is enough.

Result:
1